Life Is Like A Crossroad.

"I see, I personally have no problem with turning the book into a movie, it's about damn time I get out of my comfort shell anyways...

I haven't done anything worth mentioning in years." Matilda spoke seriously, however the entire time she didn't move her eyes and attention away from Socorro.

Matilda never focused this much in her life, she found herself paying all the attention to anything the pretty assistant has to say.

And Lucius never felt like an outsider in his life as he did today, technically he was the representative of the entertainment company that will turn the book into a movie, yet he was astonished by how Socorro took care of everything herself, she spoke for him and for herself.

And it didn't bother him at all, Socorro taking the lead meant less socializing for him, and he had a feeling that Matilda liked things how they are at the moment.

Suddenly, Lucius's phone started ringing again in his pocket.

His phone has rang about three times before during the meeting, and he ignore it, but it was getting bothersome, " is it okay if I go outside for a second? it could be something serious." Lucius asked pointing at his phone.

Socorro nodded at him despite that she hoped he stayed, she wasn't so sure about being completely alone with Matilda.

Picking himself up, Lucius hurried to the lobby to pick up the call, "I wonder what my mum wants." he mumbled before answering the phone.

As he listened to the person speaking to him to the other end, Lucius felt a panic attack was coming, the person calling him turned out to be the nurse who takes care of his sickly parent.

He hurried back into the meeting with his heart threatening to jump off his chest, "Socorro, Socorro! I'm really sorry I have to go! I'm sorry I have to go!" he spoke rapidly as he dashed back into the room, collecting all of his belongings at once and startling both women.

"Wait?! what happened? your face is pale!" Socorro asked him while standing up from her seat, " I-I...My mum is..." he fumbled on his words as his eyes welled up with tears.

"Breathe Lu, take a deep breath."

"Hospital...i gotta go to the hospital!"

"Can you tell us which one? I'll drive, you look like you're about to faint Satcliffe." Matilda spoke offering him help.

...Some time later...

"I'm sorry love...I promise it...won't happen again." Tacito spoke from behind the glass window, looking at his still sleeping mate, Ned only agreed to allow him to see Yurei from a distance.

"He'll be fine, his quick thinking saved him and he'll make a quick recovery too, I'm can you tell me exactly what happened?

I want to hear your side of the story, since we can't get his yet." Ned replied, his heart skipped a beat as he saw Tacito's tears, his eyes were fully red.

Tacito was crying real blood, he looked like a demon crying to Ned.

When Jasper told him about the Body-crafting theory, Ned hoped that there would be a different explanation, but unfortunately everything they thought of seems to be true.



"If your mate... dies... how bad it...would be"

"You mean the aftermath? hmm, pretty bad.

In rejection for example, a classic version of brokenheart syndrome kills your mate, and it usually kills them quickly.

In return, the one who rejected Their mate, the surviving mate, will live whatever left of Their life in agonizing pain and regret, that will drive them in the long run to insanity, and even early death in some cases.

But when your mate dies for another reason other than rejection, a new version of the brokenheart syndrome gets triggered.

In cases like mine for example, the brokenheart syndrome that You'll experience will be different...

You'll experience strong bursts of emotions, constant feeling of loss, you'll always feel grief and emptiness, probably for the remainder of your life, which could be a very long life after your mate passes away, especially since you're an immortal.

Aka, you can live your life normally, your immortality and magic will protect you, you'll most likely won't die right away, but you'll live heavily depressed and heartbroken.

Although I don't know if you'll ever experience love with someone else again, like I said I only managed to handle my broken heart syndrome thanks to my abilities, it hurts less the longer you live." Ned replied, "Are you afraid Yurei will die and you'll have to live without him?" he added asking.

"No I'm afraid...of what he'll...have to deal...with once I...die." Tacito spoke wiping his crimson tears, he turned to face a terrified Ned, " What the hell are you talking about Taci? You're not planning anything stupid are you?!"

"Ned thank you...for everything you've...done...I want to... ask you last favor."

"Wait, we are not skipping over that! you're going explain what the fuck you just said Tacito?!"

"Please... take care of...Yurei...for me Ned." Tacito replied bowing to him, then he instantly started walking away but Ned followed him behind.


ignoring him, Tacito ran out of his sight, he hoped Ned will stop Chasing him around in the hospital.

in the end, nothing he'll say will change his mind.

Jasper who caught a glimpse of the two of them, hurried to reach them but missed the two briefly through the crowd, the hospital was for some reason buzzing today with people left and right, and he couldn't easily push his way through.

Ned stoped shouting at Tacito as he got closer to the exit, but upon seeing something, the white-haired young man stood still, Tacito knew that the guy who just came inside the hospital, is exactly who he was looking for.

A familiar short young man, with his fair complexion came running inside the hospital, Tacito knew who that man was, and he recognized the other two familiar faces rushing after that man, calling his name and telling him to calm down and walk or he'll slip and fall.

On the other side of the scenery, Lucius, Socorro and Matilda all hurried inside the hospital.

Socorro cursed her Bad luck, it seems like fate is against the movie project, something had to happen and ruin her meeting.

The call Lucius got earlier, was to inform him that his dear beloved mum suffered a stroke.

Lucius was in a horrible mental and physical state by the time they made it to the hospital, he was unable to speak one coherent phrase, and Matilda had to handle everything on her own at the reception while Socorro did her Best to comfort Lucius and stick by his side.

But Tacito who followed them closely the moment they showed up, saw something else as he stared At Lucius, he saw his method to escape.

For a second as he stared at Lucius's pure light Aura, Tacito completely forgotten that that poor guy meant something to him back in Derora, a friend and a victim just like him.

Tacito didn't want to and couldn't even think of hurting Garrick to free himself, especially not when Garrick is surrounded by Ned and Fernando.

But what was there to stop him from doing it to Lucius, besides he just needs blood, Fernando never said he had to kill anyone, he doesn't have to harm Lucius badly to get his blood, he thought.

Meanwhile, Ned kept tailing Tacito, staying within a watchful distance from him to see what made him stay.

Jasper finally managed to be by his mother side, tailing Tacito as well, and the two immediately felt something was off when they realized that Tacito was following someone around, with a strange look on his face, as if Hunting a prey.

So The purple-haired Omegas changed Their pov to see who's the person captivating Tacito's attention.

Gasping " Lucius?... THAT'S LUCIUS?!" Ned spoke unable to believe his own eyes.

"Wait you said Lucius? as in Lucius Satcliffe?" Jasper asked.

"Have you met him before?! he's the last missing victim from the party. " Ned asked back.

"Fate is a sparling bitch! the karaoke bar thing! it's the guy who invited Aroon out for a karaoke night yesterday, he's Thorn's assistant!... Aroon invited me as well and then invited you!

But then we never went through with it after what happened to Yurei.

Though I explained everything to Coco, she told me the night went well, and Muriel and Thorn even made-up and left hand in hand somewhere." Jasper replied.

"When the fuck were you planning to tell me all of this happened?!"

"Today mom, Anyways look! those are Socorro and Matilda with him!"

Ned looked where jasper pointed to see His best friend and her future mate alongside Lucius, "But why is Tacito fixated at Lucius?! does he want something from him?" Jasper asked.

"Maybe, or he just wants to talk? Lucius used to babysit Tacito and Yurei when they were kids, he could be feeling guilty about what happened.

it's easy to think that Lucius wasn't going to die that day if the kids didn't insist on coming to the party, and Muriel ordered Lucius to babysit them." Ned replied.

"I don't think it's just talking he wants to do mom.

Look carefully, it seems more like he's staring at what's 'Around' Lucius rather than Lucius himself...I got an idea, do you think you can handle him on your own mom?"

"What why? are you going somewhere?"

"Yeah, I have to ask Jihi something... there's no way in hell they haven't noticed that Tacito is acting strange or went messing since they're his boss.

I need to get to the bottom of this, and I promise I'll tell you everything later." Jasper replied.

"You're awfully close to that sociopath Jasper...fine, I'll handle Tacito, find me Aroon on your way, and tell him to find out if we have a patient under the name Luciel Satcliffe admitted today to the hospital." Ned said.

"Ok! btw don't worry mom, you're still employee of the month in Jihi's eyes, I'm just a tea-time buddy." Jasper joked.

_What comes next are calculated molecules, not part of the entry_
'''
P) DFT (the ωB97M-V functional and the def2-TZVPD basis) results for 3 unconnected molecules or ions with the total composition C2H11N2O2.

```
17
Properties=species:S:1:pos:R:3:mulliken_charge:R:1
O 1.873 -0.438 0.555 -0.585
O 0.368 0.585 3.384 -0.632
N -0.944 0.369 -0.935 -0.164
N 1.310 0.200 -1.857 -0.422
C 0.010 -0.178 -1.777 -0.270
C -2.275 -0.093 -0.825 -0.776
H -0.389 -0.988 -2.421 0.313
H 1.882 -0.173 -2.606 0.181
H 1.107 0.768 4.005 0.321
H 1.700 0.677 -1.062 0.213
H -0.131 -0.053 3.919 0.318
H 1.930 -1.310 0.983 0.250
H -2.569 0.179 0.233 0.236
H -2.472 -1.143 -1.110 0.276
H 2.113 -0.059 1.433 0.303
H -2.966 0.503 -1.492 0.254
H -0.547 1.153 -0.427 0.184
```

Its multiplicity is 2. The value obtained for the HOMO energy (spin up / spin down) is -3.636 / -7.944 eV. Its total charge is 0. Its expectation value of S² is 0.75. For the HOMO-LUMO gap (spin up / spin down), the calculation gives 0.1468 / 0.3047 Ha.

---

Q) DFT (the ωB97M-V functional and the def2-TZVPD basis) results for 3 unconnected molecules or ions with the total composition C2H11N2O2.

```
17
Properties=species:S:1:pos:R:3:mulliken_charge:R:1
O 0.818 -1.388 0.847 -0.652
O -0.655 -3.831 1.460 -0.663
N 1.702 1.209 -1.799 -0.381
N -0.206 1.157 -0.297 -0.167
C -1.463 2.064 0.234 -0.901
C 0.441 1.593 -1.343 -0.171
H 0.261 -2.157 0.994 0.335
H 0.308 0.643 0.416 0.187
H -0.938 -4.626 0.937 0.316
H 2.262 0.490 -1.379 0.163
H 1.973 1.323 -2.750 0.183
H -0.154 2.347 -1.970 0.192
H -1.044 2.977 0.567 0.337
H -1.193 -3.823 2.298 0.316
H 1.672 -1.541 1.320 0.310
H -2.077 2.178 -0.591 0.304
H -1.708 1.386 1.056 0.291
```

Its multiplicity is 2. The value obtained for the HOMO energy (spin up / spin down) is -3.495 / -8.395 eV. Its total charge is 0. Its expectation value of S² is 0.75. For the HOMO-LUMO gap (spin up / spin down), the calculation gives 0.1436 / 0.3234 Ha.

---

Preferred: Q); penalty for the next structure: 0.0022 hartree.

---

P) DFT (the ωB97M-V functional and the def2-TZVPD basis) results for a molecular structure, C3H3CuLiO4.

```
12
Properties=species:S:1:pos:R:3:mulliken_charge:R:1
Cu -0.752 2.390 -0.415 0.692
O -2.291 0.989 -0.077 -0.371
O 2.171 1.277 -0.361 -0.812
O 2.041 -0.901 0.054 -0.795
O 0.193 0.397 -0.008 -0.284
C -2.054 -0.193 0.118 0.083
C 1.550 0.223 -0.126 0.828
C -0.652 -0.684 0.278 -0.330
Li 3.773 0.077 -0.313 0.891
H -0.480 -1.105 1.280 0.391
H -0.648 -1.515 -0.481 0.341
H -2.850 -0.956 0.051 0.365
```

Its multiplicity is 1. The value obtained for the HOMO energy is -14.122 eV. Its total charge is +1. For the HOMO-LUMO gap, the calculation gives 0.3514 Ha.

---

Q) DFT (the ωB97M-V functional and the def2-TZVPD basis) results for a molecular structure, C3H3CuLiO4.

```
12
Properties=species:S:1:pos:R:3:mulliken_charge:R:1
Cu -0.939 2.468 0.081 0.714
O -2.276 0.936 0.299 -0.499
O 0.205 0.379 -0.036 -0.220
O 2.123 -0.846 0.035 -0.775
O 2.146 1.290 -0.581 -0.775
C 1.600 0.232 -0.248 0.752
C -0.570 -0.658 0.340 -0.248
C -1.987 -0.282 0.119 0.213
'''


"Seriously sister, I cannot believe you reopened your wound! this is not a simple scratch, a bullet wound must be taken seriously!" Muriel spoke helping his sister out of the car.

After nearly murdering Thorn, Mallory ended-up reopening her stitched bullet wound, it was bleeding considerably and since none of them knew how to deal with such situation.

Both Thorn and Muriel drove Mallory to Ned's hospital, to get her wound stitched again.

"The good thing About this situation, is that you finally calmed down Mall, were you seriously going to blow my head?!" Thorn asked as he closed the car doors behind him.

"YEAH MOTHERFUCKER! and consider yourself lucky my brother begged for your life! so you better be a real alpha and take responsibility, if Muriel complained an itsy-bitsy-tiny-bit about your Ass, I'll blow you to smithereens!... Ugh!" Mallory replied grunting from the pain.

"Take it easy, I'm honored to have your blessings.

Now let's get you fixed, and my advice is that you should stay at the hospital this time, for few days...if you're so bored, Muriel and I can visit you."

"Look at you acting like you're already my brother in law." Mallory spoke rolling her eyes at Thorn, "That's because I am." Thorn sheepishly replied smirking at her.

"You two stop teasing Each Other." Muriel spoke.

Muriel actually wanted to laugh, but he was still worried about his sister and wondered if he should get her a VIP room after all.

but he hesitated on calling Ned, since he wasn't sure whether his sister will actually agree to staying here.